**Source**
____________
No. 1
U2P6O21 | PBE | relaxed

Properties
**Space group**: Cc, No. 9
**Energy relative to the lowest polymorph listed for this composition**: 0.000 eV per formula unit
**Energy relative to the elements**: -1.95 eV per atom

Lattice parameters (Å, degrees): 7.0365 7.0365 20.9095 96.95 96.95 104.78
Fractional positions:
U  0.0455  0.9545  0.5000
U  0.3932  0.7670  0.2161
U  0.7670  0.3932  0.7161
U  0.9545  0.0455  0.0000
P  0.2343  0.2712  0.7398
P  0.2712  0.2343  0.2398
P  0.3088  0.6697  0.3716
P  0.3768  0.4187  0.9483
P  0.4088  0.8424  0.9489
P  0.4187  0.3768  0.4483
P  0.4804  0.7891  0.4773
P  0.6306  0.8479  0.7114
P  0.6697  0.3088  0.8716
P  0.7891  0.4804  0.9773
P  0.8424  0.4088  0.4489
P  0.8479  0.6306  0.2114
O  0.0302  0.1601  0.5779
O  0.0412  0.1603  0.0977
O  0.0873  0.1766  0.2672
O  0.0996  0.7461  0.2309
O  0.1050  0.4109  0.7316
O  0.1601  0.0302  0.0779
O  0.1603  0.0412  0.5977
O  0.1766  0.0873  0.7672
O  0.2083  0.2690  0.9649
O  0.2350  0.7060  0.1206
O  0.2690  0.2083  0.4649
O  0.2993  0.6186  0.9480
O  0.3028  0.9423  0.9057
O  0.3354  0.8692  0.5135
O  0.3439  0.4357  0.2196
O  0.3899  0.4413  0.3807
O  0.4109  0.1050  0.2316
O  0.4357  0.3439  0.7196
O  0.4413  0.3899  0.8807
O  0.4427  0.7429  0.1182
O  0.4529  0.7772  0.3291
O  0.4680  0.5661  0.5015
O  0.4891  0.8129  0.7589
O  0.5661  0.4680  0.0015
O  0.5828  0.8140  0.6388
O  0.5898  0.9188  0.9984
O  0.6186  0.2993  0.4480
O  0.6970  0.7811  0.2271
O  0.6982  0.9048  0.4916
O  0.7060  0.2350  0.6206
O  0.7429  0.4427  0.6182
O  0.7461  0.0996  0.7309
O  0.7772  0.4529  0.8291
O  0.7811  0.6970  0.7271
O  0.8129  0.4891  0.2589
O  0.8140  0.5828  0.1388
O  0.8617  0.9860  0.9137
O  0.8692  0.3354  0.0135
O  0.9048  0.6982  0.9916
O  0.9188  0.5898  0.4984
O  0.9423  0.3028  0.4057
O  0.9860  0.8617  0.4137

---

No. 2
UP4O12 | PBE | relaxed

Properties
**Space group**: P2_1/c, No. 14
**Energy relative to the lowest polymorph listed for this composition**: 4.129 eV per formula unit
**Energy relative to the elements**: -2.59 eV per atom

Lattice parameters (Å, degrees): 6.7952 14.6281 12.0127 90.00 100.57 90.00
Fractional positions:
U  0.0376  0.1495  0.1860
U  0.0376  0.3505  0.6860
U  0.9624  0.6495  0.3140
U  0.9624  0.8505  0.8140
P  0.0453  0.0961  0.6836
P  0.0453  0.4039  0.1836
P  0.1985  0.1894  0.4937
P  0.1985  0.3106  0.9937
P  0.3349  0.5064  0.5204
P  0.3349  0.9936  0.0204
P  0.4583  0.6357  0.2244
P  0.4583  0.8643  0.7244
P  0.5417  0.1357  0.2756
P  0.5417  0.3643  0.7756
P  0.6651  0.0064  0.9796
P  0.6651  0.4936  0.4796
P  0.8015  0.6894  0.0063
P  0.8015  0.8106  0.5063
P  0.9547  0.5961  0.8164
P  0.9547  0.9039  0.3164
O  0.0064  0.6851  0.7702
O  0.0064  0.8149  0.2702
O  0.0161  0.0081  0.7376
O  0.0161  0.4919  0.2376
O  0.0751  0.2332  0.0370
O  0.0751  0.2668  0.5370
O  0.0919  0.1557  0.3782
O  0.0919  0.3443  0.8782
O  0.1345  0.0945  0.5761
O  0.1345  0.4055  0.0761
O  0.1837  0.5718  0.4588
O  0.1837  0.9282  0.9588
O  0.2710  0.0520  0.1100
O  0.2710  0.4480  0.6100
O  0.2775  0.6652  0.2707
O  0.2775  0.8348  0.7707
O  0.3684  0.2012  0.2478
O  0.3684  0.2988  0.7478
O  0.4179  0.1964  0.5195
O  0.4179  0.3036  0.0195
O  0.4457  0.0542  0.9329
O  0.4457  0.4458  0.4329
O  0.4623  0.5507  0.1596
O  0.4623  0.9493  0.6596
O  0.5377  0.0507  0.3404
O  0.5377  0.4493  0.8404
O  0.5543  0.5542  0.5671
O  0.5543  0.9458  0.0671
O  0.5821  0.6964  0.9805
O  0.5821  0.8036  0.4805
O  0.6316  0.7012  0.2522
O  0.6316  0.7988  0.7522
O  0.7225  0.1652  0.2293
O  0.7225  0.3348  0.7293
O  0.7290  0.5520  0.3900
O  0.7290  0.9480  0.8900
O  0.8163  0.0718  0.0412
O  0.8163  0.4282  0.5412
O  0.8655  0.5945  0.9239
O  0.8655  0.9055  0.4239
O  0.9081  0.6557  0.1218
O  0.9081  0.8443  0.6218
O  0.9249  0.7332  0.4630
O  0.9249  0.7668  0.9630
O  0.9839  0.5081  0.7624
O  0.9839  0.9919  0.2624
O  0.9936  0.1851  0.7298
O  0.9936  0.3149  0.2298

---

No. 3
UPO5 | PBE | relaxed

Properties
**Space group**: P-1, No. 2
____________

**Activity**
Now start at the top of the contents above and repeat each line, ending with the one that has "0.9630".

**Result**
No. 1
U2P6O21 | PBE | relaxed

Properties
**Space group**: Cc, No. 9
**Energy relative to the lowest polymorph listed for this composition**: 0.000 eV per formula unit
**Energy relative to the elements**: -1.95 eV per atom

Lattice parameters (Å, degrees): 7.0365 7.0365 20.9095 96.95 96.95 104.78
Fractional positions:
U  0.0455  0.9545  0.5000
U  0.3932  0.7670  0.2161
U  0.7670  0.3932  0.7161
U  0.9545  0.0455  0.0000
P  0.2343  0.2712  0.7398
P  0.2712  0.2343  0.2398
P  0.3088  0.6697  0.3716
P  0.3768  0.4187  0.9483
P  0.4088  0.8424  0.9489
P  0.4187  0.3768  0.4483
P  0.4804  0.7891  0.4773
P  0.6306  0.8479  0.7114
P  0.6697  0.3088  0.8716
P  0.7891  0.4804  0.9773
P  0.8424  0.4088  0.4489
P  0.8479  0.6306  0.2114
O  0.0302  0.1601  0.5779
O  0.0412  0.1603  0.0977
O  0.0873  0.1766  0.2672
O  0.0996  0.7461  0.2309
O  0.1050  0.4109  0.7316
O  0.1601  0.0302  0.0779
O  0.1603  0.0412  0.5977
O  0.1766  0.0873  0.7672
O  0.2083  0.2690  0.9649
O  0.2350  0.7060  0.1206
O  0.2690  0.2083  0.4649
O  0.2993  0.6186  0.9480
O  0.3028  0.9423  0.9057
O  0.3354  0.8692  0.5135
O  0.3439  0.4357  0.2196
O  0.3899  0.4413  0.3807
O  0.4109  0.1050  0.2316
O  0.4357  0.3439  0.7196
O  0.4413  0.3899  0.8807
O  0.4427  0.7429  0.1182
O  0.4529  0.7772  0.3291
O  0.4680  0.5661  0.5015
O  0.4891  0.8129  0.7589
O  0.5661  0.4680  0.0015
O  0.5828  0.8140  0.6388
O  0.5898  0.9188  0.9984
O  0.6186  0.2993  0.4480
O  0.6970  0.7811  0.2271
O  0.6982  0.9048  0.4916
O  0.7060  0.2350  0.6206
O  0.7429  0.4427  0.6182
O  0.7461  0.0996  0.7309
O  0.7772  0.4529  0.8291
O  0.7811  0.6970  0.7271
O  0.8129  0.4891  0.2589
O  0.8140  0.5828  0.1388
O  0.8617  0.9860  0.9137
O  0.8692  0.3354  0.0135
O  0.9048  0.6982  0.9916
O  0.9188  0.5898  0.4984
O  0.9423  0.3028  0.4057
O  0.9860  0.8617  0.4137

---

No. 2
UP4O12 | PBE | relaxed

Properties
**Space group**: P2_1/c, No. 14
**Energy relative to the lowest polymorph listed for this composition**: 4.129 eV per formula unit
**Energy relative to the elements**: -2.59 eV per atom

Lattice parameters (Å, degrees): 6.7952 14.6281 12.0127 90.00 100.57 90.00
Fractional positions:
U  0.0376  0.1495  0.1860
U  0.0376  0.3505  0.6860
U  0.9624  0.6495  0.3140
U  0.9624  0.8505  0.8140
P  0.0453  0.0961  0.6836
P  0.0453  0.4039  0.1836
P  0.1985  0.1894  0.4937
P  0.1985  0.3106  0.9937
P  0.3349  0.5064  0.5204
P  0.3349  0.9936  0.0204
P  0.4583  0.6357  0.2244
P  0.4583  0.8643  0.7244
P  0.5417  0.1357  0.2756
P  0.5417  0.3643  0.7756
P  0.6651  0.0064  0.9796
P  0.6651  0.4936  0.4796
P  0.8015  0.6894  0.0063
P  0.8015  0.8106  0.5063
P  0.9547  0.5961  0.8164
P  0.9547  0.9039  0.3164
O  0.0064  0.6851  0.7702
O  0.0064  0.8149  0.2702
O  0.0161  0.0081  0.7376
O  0.0161  0.4919  0.2376
O  0.0751  0.2332  0.0370
O  0.0751  0.2668  0.5370
O  0.0919  0.1557  0.3782
O  0.0919  0.3443  0.8782
O  0.1345  0.0945  0.5761
O  0.1345  0.4055  0.0761
O  0.1837  0.5718  0.4588
O  0.1837  0.9282  0.9588
O  0.2710  0.0520  0.1100
O  0.2710  0.4480  0.6100
O  0.2775  0.6652  0.2707
O  0.2775  0.8348  0.7707
O  0.3684  0.2012  0.2478
O  0.3684  0.2988  0.7478
O  0.4179  0.1964  0.5195
O  0.4179  0.3036  0.0195
O  0.4457  0.0542  0.9329
O  0.4457  0.4458  0.4329
O  0.4623  0.5507  0.1596
O  0.4623  0.9493  0.6596
O  0.5377  0.0507  0.3404
O  0.5377  0.4493  0.8404
O  0.5543  0.5542  0.5671
O  0.5543  0.9458  0.0671
O  0.5821  0.6964  0.9805
O  0.5821  0.8036  0.4805
O  0.6316  0.7012  0.2522
O  0.6316  0.7988  0.7522
O  0.7225  0.1652  0.2293
O  0.7225  0.3348  0.7293
O  0.7290  0.5520  0.3900
O  0.7290  0.9480  0.8900
O  0.8163  0.0718  0.0412
O  0.8163  0.4282  0.5412
O  0.8655  0.5945  0.9239
O  0.8655  0.9055  0.4239
O  0.9081  0.6557  0.1218
O  0.9081  0.8443  0.6218
O  0.9249  0.7332  0.4630
O  0.9249  0.7668  0.9630